Write out the lines underneath unchanged.
-- begin --
No. 1
The following is a DFT calculation (PBE) of a relaxed Pm6Dy8Sc crystal.

Unit cell a=8.653 b=8.653 c=8.653 alpha=63.26 beta=63.26 gamma=63.26
Element x y z (fractional)
Pm  0.042  0.604  0.727
Pm  0.273  0.958  0.396
Pm  0.396  0.273  0.958
Pm  0.604  0.727  0.042
Pm  0.727  0.042  0.604
Pm  0.958  0.396  0.273
Dy  0.077  0.077  0.077
Dy  0.220  0.611  0.250
Dy  0.250  0.220  0.611
Dy  0.389  0.750  0.780
Dy  0.611  0.250  0.220
Dy  0.750  0.780  0.389
Dy  0.780  0.389  0.750
Dy  0.923  0.923  0.923
Sc  0.500  0.500  0.500

Summary:
**Formation enthalpy at 0 K**: 0.115 eV/atom
**Energy**: -69.93 eV/f.u.

=====

No. 2
The following is a DFT calculation (PBE) of a relaxed PmDy3Sc7 crystal.

Unit cell a=7.990 b=7.990 c=5.452 alpha=109.88 beta=109.88 gamma=82.27
Element x y z (fractional)
Pm  0.000  0.000  0.000
Dy  0.290  0.710  0.500
Dy  0.500  0.500  0.000
Dy  0.710  0.290  0.500
Sc  0.000  0.000  0.500
Sc  0.092  0.472  0.782
Sc  0.293  0.293  0.294
Sc  0.472  0.092  0.782
Sc  0.528  0.908  0.218
Sc  0.707  0.707  0.706
Sc  0.908  0.528  0.218

Summary:
**Formation enthalpy at 0 K**: 0.287 eV/atom
**Energy**: -59.73 eV/f.u.

=====

Which value of formation enthalpy at 0 K does entry 1 give?
0.115 eV/atom

=====

Which of these has the highest energy?
PmDy3Sc7
-- stop --
No. 1
The following is a DFT calculation (PBE) of a relaxed Pm6Dy8Sc crystal.

Unit cell a=8.653 b=8.653 c=8.653 alpha=63.26 beta=63.26 gamma=63.26
Element x y z (fractional)
Pm  0.042  0.604  0.727
Pm  0.273  0.958  0.396
Pm  0.396  0.273  0.958
Pm  0.604  0.727  0.042
Pm  0.727  0.042  0.604
Pm  0.958  0.396  0.273
Dy  0.077  0.077  0.077
Dy  0.220  0.611  0.250
Dy  0.250  0.220  0.611
Dy  0.389  0.750  0.780
Dy  0.611  0.250  0.220
Dy  0.750  0.780  0.389
Dy  0.780  0.389  0.750
Dy  0.923  0.923  0.923
Sc  0.500  0.500  0.500

Summary:
**Formation enthalpy at 0 K**: 0.115 eV/atom
**Energy**: -69.93 eV/f.u.

=====

No. 2
The following is a DFT calculation (PBE) of a relaxed PmDy3Sc7 crystal.

Unit cell a=7.990 b=7.990 c=5.452 alpha=109.88 beta=109.88 gamma=82.27
Element x y z (fractional)
Pm  0.000  0.000  0.000
Dy  0.290  0.710  0.500
Dy  0.500  0.500  0.000
Dy  0.710  0.290  0.500
Sc  0.000  0.000  0.500
Sc  0.092  0.472  0.782
Sc  0.293  0.293  0.294
Sc  0.472  0.092  0.782
Sc  0.528  0.908  0.218
Sc  0.707  0.707  0.706
Sc  0.908  0.528  0.218

Summary:
**Formation enthalpy at 0 K**: 0.287 eV/atom
**Energy**: -59.73 eV/f.u.

=====

Which value of formation enthalpy at 0 K does entry 1 give?
0.115 eV/atom

=====

Which of these has the highest energy?
PmDy3Sc7